~~~
No. 1
A relaxed structure of Ti2MnTe6, computed with PBE.

The structure in POSCAR format:
```
Ti2MnTe6
1.0
7.7759 -1.8810 0.0000
7.7759 1.8810 0.0000
-3.8487 0.0000 8.8385
Ti Mn Te
2 1 6
direct
0.1685 0.1685 0.3354 Ti
0.8315 0.8315 0.6646 Ti
0.5000 0.5000 0.0000 Mn
0.1299 0.1299 0.0296 Te
0.1940 0.1940 0.6371 Te
0.4709 0.4709 0.7042 Te
0.5291 0.5291 0.2958 Te
0.8060 0.8060 0.3629 Te
0.8701 0.8701 0.9704 Te
```

Values from the calculation:
E above lowest polymorph = 0 meV/atom
magnetic moment = 2.7 μB per cell
E_form (uncorrected) = -4.7 eV/f.u.

---

No. 2
A relaxed structure of TiMnTe2, computed with PBE.

The structure in POSCAR format:
```
TiMnTe2
1.0
-3.0111 3.0111 6.0368
3.0111 -3.0111 6.0368
3.0111 3.0111 -6.0368
Ti Mn Te
2 2 4
direct
0.0000 0.0000 0.0000 Ti
0.7500 0.2500 0.5000 Ti
0.2500 0.7500 0.5000 Mn
0.5000 0.5000 0.0000 Mn
0.1570 0.6250 0.0320 Te
0.3750 0.4070 0.5320 Te
0.5930 0.1250 0.9680 Te
0.8750 0.8430 0.4680 Te
```

Values from the calculation:
E above lowest polymorph = 357 meV/atom
magnetic moment = 1.7 μB per cell
E_form (uncorrected) = 1.1 eV/f.u.

---

No. 3
A relaxed structure of TiMn3Te, computed with PBE.

The structure in POSCAR format:
```
TiMn3Te
1.0
4.8033 0.0000 0.0000
0.0000 4.8033 0.0000
0.0000 0.0000 4.8033
Ti Mn Te
1 3 1
direct
0.0000 0.0000 0.0000 Ti
0.0000 0.5000 0.5000 Mn
0.5000 0.0000 0.5000 Mn
0.5000 0.5000 0.0000 Mn
0.5000 0.5000 0.5000 Te
```

Values from the calculation:
E above lowest polymorph = 96 meV/atom
magnetic moment = 7.5 μB per cell
E_form (uncorrected) = 5.2 eV/f.u.

---

No. 4
A relaxed structure of TiMnTe2, computed with PBE.

The structure in POSCAR format:
```
TiMnTe2
1.0
1.8644 1.0764 8.7805
-1.8644 1.0764 8.7805
0.0000 -2.1528 8.7805
Ti Mn Te
1 1 2
direct
0.0000 0.0000 0.0000 Ti
0.5000 0.5000 0.5000 Mn
0.3992 0.3992 0.3992 Te
0.6008 0.6008 0.6008 Te
```

Values from the calculation:
E above lowest polymorph = 0 meV/atom
magnetic moment = 4.6 μB per cell
E_form (uncorrected) = -0.4 eV/f.u.

---

No. 5
A relaxed structure of Ti3MnTe, computed with PBE.

The structure in POSCAR format:
```
Ti3MnTe
1.0
4.9656 0.0000 0.0000
0.0000 4.9656 0.0000
0.0000 0.0000 4.9656
Ti Mn Te
3 1 1
direct
0.0000 0.0000 0.5000 Ti
0.0000 0.5000 0.0000 Ti
0.5000 0.0000 0.0000 Ti
0.5000 0.5000 0.5000 Mn
0.0000 0.0000 0.0000 Te
```

Values from the calculation:
E above lowest polymorph = 802 meV/atom
magnetic moment = 2.7 μB per cell
E_form (uncorrected) = 4.5 eV/f.u.

---

No. 6
A relaxed structure of TiMn2Te, computed with PBE.

The structure in POSCAR format:
```
TiMn2Te
1.0
-1.9734 1.9734 9.2143
1.9734 -1.9734 9.2143
1.9734 1.9734 -9.2143
Ti Mn Te
2 4 2
direct
0.0000 0.0000 0.0000 Ti
0.7500 0.2500 0.5000 Ti
0.1225 0.6250 0.9975 Mn
0.3750 0.3725 0.4975 Mn
0.6275 0.1250 0.0025 Mn
0.8750 0.8775 0.5025 Mn
0.2500 0.7500 0.5000 Te
0.5000 0.5000 0.0000 Te
```

Values from the calculation:
magnetic moment = 10.2 μB per cell
E_form (uncorrected) = 1.2 eV/f.u.

---

No. 7
A relaxed structure of Ti2MnTe6, computed with PBE.

The structure in POSCAR format:
```
Ti2MnTe6
1.0
6.8505 0.0000 0.0000
0.0000 7.0640 0.0000
-6.4183 0.0000 9.2332
Ti Mn Te
4 2 12
direct
0.2185 0.1488 0.2474 Ti
0.2185 0.3512 0.7474 Ti
0.7815 0.6488 0.2526 Ti
0.7815 0.8512 0.7526 Ti
0.0000 0.0000 0.5000 Mn
0.0000 0.5000 0.0000 Mn
0.0887 0.1625 0.9255 Te
0.0887 0.3375 0.4255 Te
0.2632 0.6685 0.9221 Te
0.2632 0.8315 0.4221 Te
0.4152 0.0101 0.7596 Te
0.4152 0.4899 0.2596 Te
0.5848 0.5101 0.7404 Te
0.5848 0.9899 0.2404 Te
0.7368 0.1685 0.5779 Te
0.7368 0.3315 0.0779 Te
0.9113 0.6625 0.5745 Te
0.9113 0.8375 0.0745 Te
```

Values from the calculation:
E above lowest polymorph = 139 meV/atom
magnetic moment = 7.1 μB per cell
E_form (uncorrected) = -3.5 eV/f.u.

---

No. 8
A relaxed structure of Ti3MnTe, computed with PBE.

The structure in POSCAR format:
```
Ti3MnTe
1.0
4.5277 0.0000 0.0000
0.0000 4.5277 0.0000
0.0000 0.0000 4.5277
Ti Mn Te
3 1 1
direct
0.0000 0.0000 0.5000 Ti
0.0000 0.5000 0.0000 Ti
0.5000 0.0000 0.0000 Ti
~~~
Now quote the whole of the notes further up exactly.
No. 1
A relaxed structure of Ti2MnTe6, computed with PBE.

The structure in POSCAR format:
```
Ti2MnTe6
1.0
7.7759 -1.8810 0.0000
7.7759 1.8810 0.0000
-3.8487 0.0000 8.8385
Ti Mn Te
2 1 6
direct
0.1685 0.1685 0.3354 Ti
0.8315 0.8315 0.6646 Ti
0.5000 0.5000 0.0000 Mn
0.1299 0.1299 0.0296 Te
0.1940 0.1940 0.6371 Te
0.4709 0.4709 0.7042 Te
0.5291 0.5291 0.2958 Te
0.8060 0.8060 0.3629 Te
0.8701 0.8701 0.9704 Te
```

Values from the calculation:
E above lowest polymorph = 0 meV/atom
magnetic moment = 2.7 μB per cell
E_form (uncorrected) = -4.7 eV/f.u.

---

No. 2
A relaxed structure of TiMnTe2, computed with PBE.

The structure in POSCAR format:
```
TiMnTe2
1.0
-3.0111 3.0111 6.0368
3.0111 -3.0111 6.0368
3.0111 3.0111 -6.0368
Ti Mn Te
2 2 4
direct
0.0000 0.0000 0.0000 Ti
0.7500 0.2500 0.5000 Ti
0.2500 0.7500 0.5000 Mn
0.5000 0.5000 0.0000 Mn
0.1570 0.6250 0.0320 Te
0.3750 0.4070 0.5320 Te
0.5930 0.1250 0.9680 Te
0.8750 0.8430 0.4680 Te
```

Values from the calculation:
E above lowest polymorph = 357 meV/atom
magnetic moment = 1.7 μB per cell
E_form (uncorrected) = 1.1 eV/f.u.

---

No. 3
A relaxed structure of TiMn3Te, computed with PBE.

The structure in POSCAR format:
```
TiMn3Te
1.0
4.8033 0.0000 0.0000
0.0000 4.8033 0.0000
0.0000 0.0000 4.8033
Ti Mn Te
1 3 1
direct
0.0000 0.0000 0.0000 Ti
0.0000 0.5000 0.5000 Mn
0.5000 0.0000 0.5000 Mn
0.5000 0.5000 0.0000 Mn
0.5000 0.5000 0.5000 Te
```

Values from the calculation:
E above lowest polymorph = 96 meV/atom
magnetic moment = 7.5 μB per cell
E_form (uncorrected) = 5.2 eV/f.u.

---

No. 4
A relaxed structure of TiMnTe2, computed with PBE.

The structure in POSCAR format:
```
TiMnTe2
1.0
1.8644 1.0764 8.7805
-1.8644 1.0764 8.7805
0.0000 -2.1528 8.7805
Ti Mn Te
1 1 2
direct
0.0000 0.0000 0.0000 Ti
0.5000 0.5000 0.5000 Mn
0.3992 0.3992 0.3992 Te
0.6008 0.6008 0.6008 Te
```

Values from the calculation:
E above lowest polymorph = 0 meV/atom
magnetic moment = 4.6 μB per cell
E_form (uncorrected) = -0.4 eV/f.u.

---

No. 5
A relaxed structure of Ti3MnTe, computed with PBE.

The structure in POSCAR format:
```
Ti3MnTe
1.0
4.9656 0.0000 0.0000
0.0000 4.9656 0.0000
0.0000 0.0000 4.9656
Ti Mn Te
3 1 1
direct
0.0000 0.0000 0.5000 Ti
0.0000 0.5000 0.0000 Ti
0.5000 0.0000 0.0000 Ti
0.5000 0.5000 0.5000 Mn
0.0000 0.0000 0.0000 Te
```

Values from the calculation:
E above lowest polymorph = 802 meV/atom
magnetic moment = 2.7 μB per cell
E_form (uncorrected) = 4.5 eV/f.u.

---

No. 6
A relaxed structure of TiMn2Te, computed with PBE.

The structure in POSCAR format:
```
TiMn2Te
1.0
-1.9734 1.9734 9.2143
1.9734 -1.9734 9.2143
1.9734 1.9734 -9.2143
Ti Mn Te
2 4 2
direct
0.0000 0.0000 0.0000 Ti
0.7500 0.2500 0.5000 Ti
0.1225 0.6250 0.9975 Mn
0.3750 0.3725 0.4975 Mn
0.6275 0.1250 0.0025 Mn
0.8750 0.8775 0.5025 Mn
0.2500 0.7500 0.5000 Te
0.5000 0.5000 0.0000 Te
```

Values from the calculation:
magnetic moment = 10.2 μB per cell
E_form (uncorrected) = 1.2 eV/f.u.

---

No. 7
A relaxed structure of Ti2MnTe6, computed with PBE.

The structure in POSCAR format:
```
Ti2MnTe6
1.0
6.8505 0.0000 0.0000
0.0000 7.0640 0.0000
-6.4183 0.0000 9.2332
Ti Mn Te
4 2 12
direct
0.2185 0.1488 0.2474 Ti
0.2185 0.3512 0.7474 Ti
0.7815 0.6488 0.2526 Ti
0.7815 0.8512 0.7526 Ti
0.0000 0.0000 0.5000 Mn
0.0000 0.5000 0.0000 Mn
0.0887 0.1625 0.9255 Te
0.0887 0.3375 0.4255 Te
0.2632 0.6685 0.9221 Te
0.2632 0.8315 0.4221 Te
0.4152 0.0101 0.7596 Te
0.4152 0.4899 0.2596 Te
0.5848 0.5101 0.7404 Te
0.5848 0.9899 0.2404 Te
0.7368 0.1685 0.5779 Te
0.7368 0.3315 0.0779 Te
0.9113 0.6625 0.5745 Te
0.9113 0.8375 0.0745 Te
```

Values from the calculation:
E above lowest polymorph = 139 meV/atom
magnetic moment = 7.1 μB per cell
E_form (uncorrected) = -3.5 eV/f.u.

---

No. 8
A relaxed structure of Ti3MnTe, computed with PBE.

The structure in POSCAR format:
```
Ti3MnTe
1.0
4.5277 0.0000 0.0000
0.0000 4.5277 0.0000
0.0000 0.0000 4.5277
Ti Mn Te
3 1 1
direct
0.0000 0.0000 0.5000 Ti
0.0000 0.5000 0.0000 Ti
0.5000 0.0000 0.0000 Ti